## Request
Work out how many lines further down have the word "CaAg2O4" in them; a number is enough.

## Input
........
[1]
Diffraction record for TmMg16Al12. The powder diffraction line list is calculated, not measured: it uses the GGA-PBE geometry in the Materials Project and Cu Kα (weighted mean of Kα1 and Kα2).
Lines closer than 0.1° are merged.

Principal peaks in the range 2θ from 15° to 90°, low angle first:
two_theta	d [Å]	I/Imax
16.79	5.280	31.5
20.47	4.340	34.6
26.37	3.379	22.1
35.35	2.539	57.2
35.51	2.528	29.5
36.00	2.495	96.8
36.80	2.442	100.0
39.38	2.288	51.1
41.60	2.171	39.5
64.41	1.447	28.5

Atomic structure:
```
TmMg16Al12
1.0
7.6171 4.3977 2.9366
-7.6171 4.3977 2.9366
0.0000 -8.7955 2.9366
Tm Mg Al
1 16 12
Direct
0.0000 0.0000 0.0000 Tm
0.0576 0.0576 0.6552 Mg
0.0576 0.6552 0.0576 Mg
0.0926 0.7626 0.7626 Mg
0.3706 0.6831 0.9783 Mg
0.3706 0.9783 0.6831 Mg
0.3749 0.3749 0.3749 Mg
0.3770 0.3770 0.7172 Mg
0.3770 0.7172 0.3770 Mg
0.6552 0.0576 0.0576 Mg
0.6831 0.3706 0.9783 Mg
0.6831 0.9783 0.3706 Mg
0.7172 0.3770 0.3770 Mg
0.7626 0.0926 0.7626 Mg
0.7626 0.7626 0.0926 Mg
0.9783 0.3706 0.6831 Mg
0.9783 0.6831 0.3706 Mg
0.0082 0.1868 0.3686 Al
0.0082 0.3686 0.1868 Al
0.1868 0.0082 0.3686 Al
0.1868 0.3686 0.0082 Al
0.1975 0.5621 0.5621 Al
0.3686 0.0082 0.1868 Al
0.3686 0.1868 0.0082 Al
0.5621 0.1975 0.5621 Al
0.5621 0.5621 0.1975 Al
0.5635 0.7427 0.7427 Al
0.7427 0.5635 0.7427 Al
0.7427 0.7427 0.5635 Al
```

---

[2]
Diffraction record for BaCa2I6. The powder diffraction line list is calculated, not measured: it uses the GGA-PBE geometry in the Materials Project and Cu Kα (weighted mean of Kα1 and Kα2).
Lines closer than 0.1° are merged.

Principal peaks in the range 2θ from 15° to 90°, low angle first:
two_theta	d [Å]	I/Imax
22.28	3.990	19.5
22.89	3.885	24.7
25.09	3.549	100.0
27.28	3.269	84.4
32.15	2.784	35.0
32.16	2.783	35.6
37.54	2.396	23.9
41.57	2.172	19.0
42.08	2.147	16.6
47.04	1.932	15.6

Atomic structure:
```
BaCa2I6
1.0
8.6577 0.0000 0.0000
0.0000 7.7695 0.0000
-1.3843 0.0000 23.9333
Ba Ca I
4 8 24
Direct
0.1452 0.0313 0.4037 Ba
0.1452 0.4687 0.9037 Ba
0.8548 0.5313 0.0963 Ba
0.8548 0.9687 0.5963 Ba
0.2534 0.0122 0.7474 Ca
0.2534 0.4878 0.2474 Ca
0.3753 0.5317 0.5885 Ca
0.3753 0.9683 0.0885 Ca
0.6247 0.0317 0.9115 Ca
0.6247 0.4683 0.4115 Ca
0.7466 0.5122 0.7526 Ca
0.7466 0.9878 0.2526 Ca
0.0366 0.7092 0.7005 I
0.0366 0.7908 0.2005 I
0.1340 0.7360 0.0234 I
0.1340 0.7640 0.5234 I
0.1768 0.2246 0.6410 I
0.1768 0.2754 0.1410 I
0.3437 0.6818 0.3560 I
0.3437 0.8182 0.8560 I
0.3846 0.2163 0.9853 I
0.3846 0.2837 0.4853 I
0.4760 0.2077 0.3120 I
0.4760 0.2923 0.8120 I
0.5240 0.7077 0.1880 I
0.5240 0.7923 0.6880 I
0.6154 0.7163 0.5147 I
0.6154 0.7837 0.0147 I
0.6563 0.1818 0.1440 I
0.6563 0.3182 0.6440 I
0.8232 0.7246 0.8590 I
0.8232 0.7754 0.3590 I
0.8660 0.2360 0.4766 I
0.8660 0.2640 0.9766 I
0.9634 0.2092 0.7995 I
0.9634 0.2908 0.2995 I
```

---

[3]
Diffraction record for CaAg2O4. The powder diffraction line list is calculated, not measured: it uses the GGA-PBE geometry in the Materials Project and Cu Kα (weighted mean of Kα1 and Kα2).
Lines closer than 0.1° are merged.

Principal peaks in the range 2θ from 15° to 90°, low angle first:
two_theta	d [Å]	I/Imax
16.24	5.458	98.1
25.76	3.459	100.0
28.23	3.161	55.9
32.82	2.729	59.6
33.88	2.646	81.0
38.58	2.333	31.5
42.25	2.139	34.2
51.59	1.772	64.5
52.94	1.730	21.1
55.21	1.664	23.7

Atomic structure:
```
CaAg2O4
1.0
-3.0254 3.0254 6.3225
3.0254 -3.0254 6.3225
3.0254 3.0254 -6.3225
Ca Ag O
2 4 8
Direct
0.3750 0.6250 0.7500 Ca
0.6250 0.3750 0.2500 Ca
0.0000 0.0000 0.0000 Ag
0.0000 0.0000 0.5000 Ag
0.0000 0.5000 0.0000 Ag
0.5000 0.0000 0.5000 Ag
0.2230 0.7477 0.4753 O
0.2276 0.2523 0.9753 O
0.2523 0.2276 0.4753 O
0.2523 0.7770 0.0247 O
0.7477 0.2230 0.9753 O
0.7477 0.7724 0.5247 O
0.7724 0.7477 0.0247 O
0.7770 0.2523 0.5247 O
```

---

[4]
Diffraction record for MgCuP. The powder diffraction line list is calculated, not measured: it uses the GGA-PBE geometry in the Materials Project and Cu Kα (weighted mean of Kα1 and Kα2).
Lines closer than 0.1° are merged.
........

## Reply
2